White House aide broke federal ethics rules during TV interviews

Kellyanne Conway breached guidelines by endorsing Roy Moore in Alabama special election

Kellyanne Conway, special counsellor to the president: government officials are prohibited from using their positions for partisan political purposes. Photograph: AFP/Getty Images

White House aide Kellyanne Conway broke federal ethics rules during two television interviews last year, the US government ethics agency said on Tuesday, as personnel difficulties within the Trump administration continued.

The Office of Special Counsel (OSC) – a government ethics agency that has no connection with special counsel Robert Mueller's Russia investigation – told the US president Donald Trump that Ms Conway was in breach of ethics guidelines when she endorsed Republican candidate Roy Moore in the Alabama special election last year.

Ms Conway, who is special counsellor to the president and managed his 2016 presidential election campaign, made comments denigrating the Democratic candidate in the Alabama election, Doug Jones, in interviews on Fox News and CNN in November.

“Doug Jones in Alabama, folks, don’t be fooled. He will be a vote against tax cuts. He is weak on crime. Weak on borders. He’s strong on raising your taxes. He is terrible for property owners,” she said in a morning interview on Fox News.

# Between two parts of the piece: quantum chemistry results
+++
# 1
Formula: C18H47MnN2O7S2
Source: OMol25
Level of theory: ωB97M-V with the def2-TZVPD basis set

Properties
**Energy above the lowest of the compared OMol25 structures with the same formula, charge and spin**: 0.000 eV
**HOMO-LUMO gap (spin up / spin down)**: 0.201 / 0.198 Ha
**2S+1**: 6
**Charge**: +1
**E_LUMO (spin up / spin down)**: -4.525 / -4.582 eV
**HOMO energy (spin up / spin down)**: -9.983 / -9.983 eV

Last column: Löwdin charge in e.
CARTESIAN COORDINATES (ANGSTROEM)
Mn: -7.46076 20.64251 -0.82866  1.14
O: -5.97929 20.39533 -1.96994  -0.40
H: -5.26187 20.89887 -2.37554  -0.03
C: 0.50822 16.45098 -0.46794  -0.09
C: 0.35589 17.47955 -1.56590  -0.26
N: -1.03153 17.80641 -1.85790  -0.19
C: -1.17204 19.17136 -2.32727  -0.27
C: -2.60895 19.62550 -2.54810  -0.09
C: -1.71563 16.81108 -2.67063  -0.25
C: -1.35149 16.80245 -4.15307  -0.07
H: 1.56921 16.28619 -0.26898  0.08
H: 0.07739 15.48381 -0.73731  0.06
H: 0.01249 16.71658 0.46849  0.07
H: 0.90247 18.39009 -1.33027  0.11
H: 0.86666 17.02676 -2.43498  0.11
H: -0.62803 19.29926 -3.28324  0.12
H: -0.68109 19.85208 -1.62971  0.11
H: -2.56885 20.58467 -3.06305  0.05
H: -3.14846 19.70653 -1.60037  0.08
H: -3.18190 18.90195 -3.13278  0.05
H: -1.52793 15.84118 -2.20599  0.11
H: -2.79363 16.96766 -2.55083  0.09
H: -1.72876 17.71496 -4.61546  0.06
H: -0.26973 16.76545 -4.28128  0.07
H: -1.76526 15.94083 -4.67570  0.07
C: -0.18633 26.77977 -3.59861  -0.08
C: -1.35658 25.84532 -3.30238  -0.29
N: -0.98447 24.65444 -2.60102  -0.21
C: -1.71958 23.45721 -2.94035  -0.25
C: -3.22429 23.49937 -2.58957  -0.07
C: -0.71289 24.82382 -1.19427  -0.25
C: 0.08858 23.67770 -0.56889  -0.08
H: 0.39192 26.43990 -4.46002  0.07
H: 0.52892 26.76241 -2.77398  0.06
H: -0.49416 27.81179 -3.75566  0.07
H: -2.16235 26.44659 -2.82499  0.12
H: -1.86479 25.58057 -4.23858  0.11
H: -1.58245 23.26234 -4.00662  0.12
H: -1.24881 22.63484 -2.39834  0.09
H: -3.36637 23.39929 -1.51529  0.07
H: -3.61995 24.44321 -2.96351  0.06
H: -3.69298 22.65640 -3.10521  0.04
H: -1.65758 24.96422 -0.62872  0.11
H: -0.18851 25.76712 -1.04418  0.11
H: -0.55963 22.92083 -0.11955  0.06
H: 0.72761 24.06135 0.22382  0.07
H: 0.68942 23.16331 -1.31923  0.08
O: -8.65902 20.74125 -2.72193  -0.35
S: -8.89300 20.74052 -4.14796  0.58
O: -10.20985 20.60355 -4.63202  -0.21
O: -8.34963 22.07268 -4.76396  -0.22
C: -7.11479 22.65178 -4.25088  -0.25
C: -7.02419 24.08379 -4.71692  -0.05
C: -7.84561 19.56410 -4.89383  -0.09
H: -6.26982 22.06804 -4.61246  0.12
H: -7.15425 22.67022 -3.16252  0.10
H: -7.86374 24.67950 -4.36714  0.09
H: -6.89184 24.17792 -5.79112  0.09
H: -6.13339 24.48993 -4.22651  0.08
H: -7.98037 19.67805 -5.96321  0.09
H: -8.10362 18.57164 -4.52186  0.05
H: -6.83218 19.73687 -4.53009  0.07
O: -8.08146 18.66195 -0.87730  -0.35
S: -7.77963 17.31094 -1.29879  0.57
O: -8.13134 16.25905 -0.43271  -0.20
O: -8.51328 17.19405 -2.64088  -0.25
C: -8.80260 15.83498 -3.13595  -0.21
C: -9.39761 15.97584 -4.50360  -0.05
C: -6.11218 17.20525 -1.73483  -0.11
+++


Under the Hatch Act, government officials are prohibited from using their positions for partisan political purposes. According to the report released by the OSC, Ms Conway’s interviews “impermissibly mixed official government business with political views about candidates in the Alabama special election for US Senate”.

It falls to the president to decide if Ms Conway should face disciplinary action.

Tuesday’s finding marks the second time that Ms Conway has been found guilty of ethics violations. Last year the Office of Government Ethics found she had broken ethics rules by endorsing Ivanka Trump’s fashion range during a TV interview.

The development came a day after former Trump aide Sam Nunberg claimed in a series of TV and newspaper interviews that he would refuse to comply with a subpoena request from Mr Mueller, who is investigating Russian interference in the 2016 election.

Mr Nunberg, who has already been interviewed by Mr Mueller’s team, took to the airwaves on Monday in a series of bizarre interviews during which he claimed he would defy requests for him to hand over emails and other documents to the investigation.

Cancelled interviews

"Let him arrest me," he told the Washington Post, insisting that he would not comply with Mr Mueller's request, though by Tuesday, Mr Nunberg indicated that he would comply and cancelled a number of TV interviews.

Describing the Mueller investigation as a “witch-hunt”, Mr Nunberg nonetheless said he believed that Mr Mueller has concluded that Mr Trump “may have done something” illegal, based on the questions he had been asked during the interview.

Asked about his views on the disputed meeting on June 9th, 2016 in Trump Tower, at which Donald Trump jnr and others met Russian individuals having been promised incriminating information about Hillary Clinton, Mr Nunberg said he believed that then presidential-candidate Donald Trump had known about the meetings.

-- Next to the text, the page also holds quantum chemistry results --
-- begin --
Entry 1:
ORCA calculation (the ωB97M-V functional and the def2-TZVPD basis) on 9 unconnected molecules or ions with the total composition C56H126N4O14 in a non-equilibrium geometry.

Results
SMILES string: CC1(C)CCCC(C)(C)N1O.CC1(C)CCCC(C)(C)N1O.CC1(C)CCCC(C)(C)N1O.CC1(C)CCCC(C)(C)N1O.COCCOC.COCCOC.COCCOC.COCCOC.COCCOC
Spin multiplicity: 1
Kohn-Sham gap, eV: 8.1
HOMO level, eV: -7.54
ΔE to the lowest compared entry with this formula, charge and spin, eV: 5.495

The geometry in XYZ format:
```
200
C56H126N4O14, DFT the ωB97M-V functional and the def2-TZVPD basis
C 2.7407 4.5728 -0.4147
O 3.4375 5.7439 -0.1553
C 2.5149 6.8055 0.1659
C 3.1703 7.9393 1.0606
O 3.6327 7.5166 2.3490
C 3.8628 8.6068 3.3237
H 2.3441 4.0881 0.4774
H 3.4816 3.8255 -0.6987
H 1.9967 4.6686 -1.2056
H 1.7496 6.4547 0.8582
H 2.0432 7.3409 -0.6580
H 2.4912 8.7869 1.1531
H 3.9046 8.4191 0.4136
H 4.6582 9.2496 2.9465
H 4.0205 8.1625 4.3064
H 2.9736 9.2274 3.4348
C -4.8301 -2.1854 0.4114
O -4.6574 -3.5522 0.4835
C -4.9837 -4.3451 -0.6807
C -4.8591 -5.8395 -0.5732
O -5.8084 -6.3348 0.3875
C -7.1273 -6.6002 -0.1286
H -4.5096 -1.8005 1.3795
H -5.8508 -1.8463 0.2346
H -4.1178 -1.7552 -0.2927
H -4.1019 -4.0337 -1.2408
H -5.8729 -3.9467 -1.1693
H -3.8996 -6.1867 -0.1899
H -5.0719 -6.1933 -1.5819
H -7.1667 -7.1814 -1.0499
H -7.7292 -5.7287 -0.3861
H -7.6698 -7.1963 0.6052
C 3.3136 1.1468 9.5478
O 2.3747 0.7174 8.6676
C 2.7973 1.0362 7.3407
C 1.9568 0.2390 6.2463
O 0.6309 0.7775 6.0328
C -0.1009 0.0020 5.1138
H 3.6793 2.1717 9.4850
H 4.1977 0.5302 9.7099
H 2.8712 1.0261 10.5366
H 3.8365 0.7504 7.1778
H 2.7862 2.1073 7.1390
H 1.7617 -0.7882 6.5543
H 2.5329 0.1371 5.3266
H -0.3018 -1.0551 5.2878
H 0.3755 -0.1580 4.1466
H -0.9861 0.5606 4.8097
C -1.2398 5.1600 -0.7387
O -1.5562 4.2540 -1.8369
C -2.2688 4.8087 -2.9231
C -1.4303 5.4749 -4.0487
O -0.8272 4.6055 -4.9972
C 0.1568 3.7656 -4.4853
H -0.5215 4.6052 -0.1350
H -2.1198 5.3864 -0.1368
H -0.8553 6.1247 -1.0697
H -3.0366 5.5400 -2.6702
H -2.8030 3.9631 -3.3562
H -0.6503 5.9997 -3.4971
H -2.0905 6.0673 -4.6822
H -0.0981 3.2767 -3.5451
H 1.0480 4.3308 -4.2127
H 0.5311 2.9773 -5.1384
C 3.0524 3.7203 3.2731
O 3.6282 2.4000 3.5007
C 5.0303 2.3774 3.4291
C 5.5033 0.8653 3.7315
O 5.3069 0.4528 5.1110
C 5.4401 -0.8995 5.3768
H 3.4339 4.1799 2.3613
H 3.2450 4.4408 4.0680
H 1.9813 3.6199 3.0978
H 5.3120 3.0183 4.2646
H 5.4325 2.7578 2.4901
H 6.5236 0.7598 3.3630
H 4.9529 0.2238 3.0432
H 5.3396 -1.1418 6.4348
H 6.4818 -1.2151 5.3194
H 4.9100 -1.6400 4.7778
C -3.2286 -7.0149 4.7059
C -4.4360 -6.0452 4.6368
C -5.1741 -5.8492 6.0379
C -4.3685 -4.9983 6.9946
C -4.0369 -3.5793 6.3988
C -3.3022 -3.6410 5.0722
N -3.9647 -4.6816 4.1626
O -3.4140 -4.7044 2.8728
C -3.2802 -2.2019 4.3437
C -1.8746 -4.0417 5.2917
C -5.5524 -6.6742 3.7595
H -2.3666 -6.7835 4.0802
H -3.5247 -8.0487 4.5277
H -2.7776 -6.9390 5.6954
H -6.1514 -5.3852 5.9047
H -5.4598 -6.8147 6.4556
H -3.3621 -5.3484 7.2240
H -4.6883 -5.0090 8.0366
H -3.2812 -3.1652 7.0662
H -4.9257 -2.9487 6.3775
-- stop --

Mr Nunberg's apparent defiance prompted comparisons with Susan McDougal, who spent 18 months behind bars after refusing to comply with a special counsel subpoena during the Whitewater investigation concerning Bill Clinton.

‘No collusion’

His interviews on Monday prompted at least one interviewer to ask him if he had been drinking. A close ally of long-term Trump confidante Roger Stone, Mr Nunberg worked on the Trump election campaign but was fired in August 2015.

Asked about the former aide's claim that Mr Trump had "done something" in relation to the Russians, White House press secretary Sarah Sanders said this was "incorrect".

“As we’ve said many times before, there was no collusion with the Trump campaign,” she said, noting that Mr Nunberg had never worked at the White House.

Democratic members of the House intelligence committee said they would be interested in interviewing Mr Nunberg.

Meanwhile, the administration's top security official told a Senate committee hearing on Tuesday that the White House was "actively engaged" in efforts to stop Russia interfering in the mid-term elections this year. "This is a high priority for them," director of national intelligence Dan Coats said. He also indicated that the US treasury could announce sanctions against Russia next week.